A Combo/ Control deck for Modern.
The deck controls the first few turns with counter magic, and removal, until it can use Gifts to set up a massive 1 turn storm combo finish.
Looking at the list on this site makes it seem like a jumbled mess, so here is the list in a manner that actually makes sense.
-- Search --
4 Merchant Scroll
4 Gifts Ungiven
1 Dig Through Time
-- Ramp --
4 Sakura-Tribe Elder
-- Control --
4 Remand
2 Spell Snare
1 Izzet Charm
1 Electrolyze
1 Repeal
3 Lightning Bolt
********
Here is an isolated molecule of C2H3IS in a non-equilibrium geometry from the Open Molecules 2025 dataset. Energies are from the ωB97M-V functional and the def2-TZVPD basis.

Atoms and positions in Å:
C  0.649  0.350  -0.029
C  -0.637  -0.151  0.159
S  -0.852  -2.364  0.144
I  -2.460  0.926  -0.006
H  1.302  0.008  0.730
H  0.870  1.416  -0.143
H  1.126  -0.186  -0.856

## Properties
E: -773.7335 Ha
E_HOMO (spin up / spin down): -0.32838 / -0.30618 hartree

=====

Here is C25H20FeN6O2S as an isolated structure in a non-equilibrium geometry from the Open Molecules 2025 dataset. Energies are from the ωB97M-V functional and the def2-TZVPD basis.

Atoms and positions in Å:
Fe  0.490  0.792  -0.429
O  0.969  -2.317  1.629
C  0.664  -1.165  1.486
N  1.447  -0.116  1.029
C  2.246  0.655  1.780
C  2.912  0.285  2.967
C  3.803  1.162  3.526
C  4.056  2.425  2.947
C  3.384  2.841  1.828
C  2.416  1.991  1.254
N  1.562  2.317  0.259
C  1.936  3.040  -0.877
O  1.715  4.196  -1.114
C  2.495  2.061  -1.909
C  3.416  2.403  -2.882
C  3.860  1.406  -3.741
C  3.358  0.124  -3.600
C  2.417  -0.128  -2.610
N  2.004  0.819  -1.779
C  -0.745  -0.616  1.713
C  -1.640  -1.230  2.573
C  -2.837  -0.585  2.844
C  -3.088  0.634  2.240
C  -2.147  1.162  1.365
N  -1.001  0.555  1.103
H  2.756  -0.703  3.377
H  4.344  0.882  4.417
H  4.773  3.079  3.418
H  3.530  3.830  1.416
H  3.761  3.422  -2.950
H  4.586  1.628  -4.510
H  3.681  -0.679  -4.244
H  1.991  -1.112  -2.467
H  -1.375  -2.175  3.019
H  -3.555  -1.020  3.524
H  -3.989  1.186  2.449
H  -2.303  2.115  0.881
N  -3.091  1.663  -1.629
C  -2.549  0.431  -1.622
S  -0.935  0.281  -2.164
N  -3.321  -0.579  -1.218
C  -3.038  -1.959  -1.049
C  -2.128  -2.655  -1.830
C  -1.939  -4.008  -1.587
C  -2.657  -4.664  -0.602
C  -3.591  -3.967  0.148
C  -3.784  -2.616  -0.073
H  -2.537  2.407  -2.027
H  -4.089  1.803  -1.587
H  -4.239  -0.325  -0.873
H  -1.582  -2.165  -2.617
H  -1.228  -4.552  -2.189
H  -2.500  -5.717  -0.430
H  -4.172  -4.474  0.904
H  -4.511  -2.068  0.513

## Properties
Net charge: +1
Multiplicity: 2
E: -3105.3983 Ha
E_HOMO (spin up / spin down): -0.35216 / -0.35222 hartree

=====

Here is a 2-piece molecular cluster, C4H10N2P overall in a non-equilibrium geometry from the Open Molecules 2025 dataset. Energies are from the ωB97M-V functional and the def2-TZVPD basis.

Atoms and positions in Å:
C  -0.967  -1.023  0.811
C  1.133  0.356  -0.178
C  1.101  0.039  1.336
C  -0.215  0.686  -0.686
N  0.109  -1.008  1.525
N  -1.224  -0.131  -0.110
P  -0.483  1.088  -2.483
H  -1.688  -1.853  0.868
H  1.794  1.241  -0.365
H  1.412  -0.701  -0.639
H  2.056  -0.495  1.533
H  0.988  1.002  1.953
H  -0.310  2.089  0.008
H  0.356  -1.909  1.949
H  -2.135  0.009  -0.385
H  -1.889  0.928  -2.208
H  -0.039  -0.317  -2.932

## Properties
Net charge: +1
E: -608.9380 Ha
E_HOMO: -0.50516 hartree

=====
********
-- Back to the text --
1 Anger of the Gods
1 Pyroclasm
1 Snapcaster Mage
-- Rituals --
2 Manamorphose
1 Pyretic Ritual
1 Mana Seism
1 Channel the Suns
--Combo Stuff--
2 Past in Flames
1 Increasing Vengeance
1 Noxious Revival
1 Grapeshot
-- Lands --
4 Misty Rainforest
4 Scalding Tarn
4 Sulfur Falls
3 Steam Vents
1 Breeding Pool
1 Stomping Ground
3 Island
1 Mountain
1 Forest
--- The essential combo pieces ---
[ Pyretic Ritual] [Manamorphose]
[Mana Seism] [Channel the Suns]
[Increasing Vengeance] [Past in Flames]
- In total there are 6 Pieces.
To win, you want to cast Gifts on the end of your opponents turn. In most cases you will need 5 lands available on your upcoming turn and 2 of the 6 essential combo cards in your hand already. Then you would grab the other 4 with Gifts and no matter what your opp gives you, you win.
Here's an example:
Your hand is Pyretic Ritual, Manamorphose, Gifts, Land, and you have 4 Lands in play. -> You want to play Gifts on your opp EOT and grab (Mana Seism, Channel the Suns, Increasing Vengeance, and PIF) From here it won't matter what you get, but most people will give you Vengeance and PIF to try and cut off your mana.
On your turn, untap, draw, play your land. From here you can Vengeance your Ritual(7 mana 2 storm), Manamorphose, PIF(3 mana, 4 storm) from your grave play the Ritual then play Mana Seism(7 mana{RR5}, 6 Storm) now Manamorphose so you have {RRG4} and play Channel the Suns, with a Increasing Vengeance(15 mana{3 of each color}, 9 storm. From here you want to play Gifts from the grave for (Grapeshot, Remand, Noxious Revival, PIF/or Manamorphose).
-If you have a PIF in the grave or hand you can get Morphose, if you have no PIF you can grab one. The point to remember is you need draw spell in hand or grave to draw into Grapeshot if they put it in your Grave.-
So the last pile sets up the win. No matter what they give you you can use Revival/ PIF/ Morphose to get Grapeshot into your hand where you can then cast it, retain priority, Remand the original Grapeshot back to your hand, but all the storm copies still get added to the stack, then you Grapeshot again for the win.
The reason for all of the 1 ofs is Merchant Scroll and Gifts Ungiven. Having a lot of 1 ofs makes Gifts really good even outside setting up the combo. You can just grab piles of answers for whatever situation you need. Noxious Revival and Snapcaster Mage are great for Gifts piles too. Then of course we want a nice selection of blue instants to really make use of Merchant Scroll. Scroll is obviously great at finding Gifts when we need it, but can also be very effective with a decent toolbox to work with.
The deck is pretty hard to play at first. But once you understand how the combo works, and know what your requirements are for the win it gets a lot easier. The deck is insanely fun once you figure it out, and you will seriously catch people by surprise when you storm combo them out of nowhere.